By Virginia Hughes
Illustration by John Kachik
“During the war a helicopter arrived on a remote island in the Pacific carrying a doctor who was needed urgently for emergency surgery. The doctor was led to a small hut which staff had readied for the operation. Once scrubbed, he approached the makeshift operating table and surveyed his patient. Ready to begin, he reached for an instrument, but the nurse shook her head and handed him a different implement. ‘Oh . . . don’t tell me,’ he sighed, ‘a Hopkins nurse.’”
This story, first reproduced in a 1940s pamphlet promoting the Johns Hopkins Hospital School of Nursing, has become legendary for several generations of Hopkins nurses.
“I joke about being an uppity nurse,” says Marian Grant, who earned her baccalaureate degree in nursing at the school in 2000 and her master’s degree as an acute care nurse practitioner in 2005. “Even as a new nurse, in certain situations, I thought, ‘I need to speak up.’ I would challenge doctors, challenge administration people, if necessary, on behalf of my patients.”
Grant, who is today the program coordinator of the Bayview Medical Center’s Palliative Care Consult Service at Johns Hopkins, honed her assertiveness in the 20 years she worked as a marketing executive for Procter and Gamble. But she left the advertising world in 1998. “I started doing volunteer work at an AIDS hospice, and as time went by I thought I’d much rather do this kind of work instead of selling lipstick,” she says. Grant turned to the Johns Hopkins University School of Nursing, she says, because, “It was the brand. It’s like they say: You can go anywhere in the world and say ‘Hopkins’ and people know what you’re talking about.”
Grant’s branding experience came in handy in 2002, a couple of years after she earned her first nursing degree. “Martha Hill had been named Dean at the School of Nursing,” Grant recalls, “and was interested in increasing the awareness of Hopkins nursing. I volunteered to do some pro bono marketing consulting.”
After interviewing Hopkins nurses, conducting polls, and reviewing historical records, she says, “we concluded that a Hopkins nurse was a person who was very much into clinical excellence but also had a high component of leadership, a global perspective, and strong advocacy skills.” From their data, Grant’s team wrote “a statement that all nurses who were affiliated with Hopkins could relate to” and that could be used for recruiting purposes:
Johns Hopkins Nursing exemplifies the nation’s premier health institution and has led the profession for more than a century. Employing evidence-based practice, a Hopkins nurse has autonomy and unlimited opportunities for growth. Throughout the world, the Johns Hopkins nurse has a passion for patients, for learning and for sharing knowledge—a passion for excellence.
In a far more informal recent survey—of Hopkins nursing alumni, their colleagues, teachers, and employers—Johns Hopkins Nursing recently set out to define what makes a Hopkins nurse unique. And in each and every one of their stories, we found that the tenets of this “branding” statement rang true. As the legendary Pacific island story suggests, Hopkins nurses possess an overwhelming—and warranted—self-confidence that sets them apart.
A Hopkins Nurse is Autonomous
As Vice President for Nursing and Patient Care Service at Johns Hopkins Hospital, it’s Karen Haller’s job to hire nurses, and she says every year the hospital hires about one quarter of the school’s graduates.
Materials data that have nothing to do with the article =
- - -
{
  "formula": "Lu2CdTc",
  "functional": "GGA-PBE",
  "state": "optimized geometry",
  "lattice_angstrom": [[6.993, 0.000, 0.000], [0.000, 6.993, 0.000], [0.000, 0.000, 6.993]],
  "species": ["Lu", "Lu", "Lu", "Lu", "Lu", "Lu", "Lu", "Lu", "Cd", "Cd", "Cd", "Cd", "Tc", "Tc", "Tc", "Tc"],
  "fractional_positions": [[0.250, 0.250, 0.250], [0.250, 0.250, 0.750], [0.250, 0.750, 0.250], [0.250, 0.750, 0.750], [0.750, 0.250, 0.250], [0.750, 0.250, 0.750], [0.750, 0.750, 0.250], [0.750, 0.750, 0.750], [0.000, 0.000, 0.000], [0.000, 0.500, 0.500], [0.500, 0.000, 0.500], [0.500, 0.500, 0.000], [0.000, 0.000, 0.500], [0.000, 0.500, 0.000], [0.500, 0.000, 0.000], [0.500, 0.500, 0.500]],
  "energy_ev_per_atom": -5.2367,
  "formation_enthalpy_0k_ev_per_atom": -0.16,
  "spacegroup": "Fm-3m"
}
- - -
“One of the unique differences about the nurses trained at Hopkins,” Haller says, “is that most of them have degrees now in some other field—everything from law to journalism. So they bring with them skills in addition to the skills that we often get with students we hire from other schools.”
What does Haller look for when hiring soon-to-be Hopkins nurses? “The most valuable people to me are those who can think through a clinical problem and exercise clinical judgment—and help other nurses who are still struggling to become expert practitioners. What new nurses are worried about is, can they work the needle into the vein, can they manage a cardiac arrest. And all of that hands-on work is extremely important, but after they have mastered those skills, they begin to see that what matters the most is whether you can assess the patient, you can intervene early, you can prevent disaster. And that takes your brain, not your hands. At the end of the day, I need a nurse who is a knowledge worker.”
“I’d say [Hopkins nurses] are more innovative, and that takes leadership,” says Haller. “You need a fair amount of creativity, but then you have to be able to lead people toward this idea you have. Really there’s a dedication here to make the patient care better and not accept the status quo.”
Record 1
This record from Materials Project describes crystalline CuH6C2SeCl at its relaxed geometry. The functional is PBE.

Cell lengths 6.885, 7.291, 11.402 Å; angles 82.33, 90.00, 90.00 degrees
Atoms (fractional coordinates):
H  0.917  0.132  0.052
H  0.489  0.299  0.639
H  0.268  0.571  0.671
H  0.989  0.701  0.861
H  0.511  0.701  0.361
H  0.573  0.454  0.202
H  0.492  0.329  0.341
H  0.232  0.571  0.171
H  0.706  0.350  0.551
H  0.294  0.650  0.449
H  0.992  0.671  0.159
H  0.768  0.429  0.829
H  0.427  0.546  0.798
H  0.417  0.868  0.448
H  0.206  0.650  0.949
H  0.794  0.350  0.051
H  0.083  0.868  0.948
H  0.008  0.329  0.841
H  0.508  0.671  0.659
H  0.583  0.132  0.552
H  0.927  0.454  0.702
H  0.073  0.546  0.298
H  0.732  0.429  0.329
H  0.011  0.299  0.139
Cu  0.452  0.000  0.123
Cu  0.548  0.000  0.877
Cu  0.952  0.000  0.377
Cu  0.048  0.000  0.623
C  0.883  0.365  0.783
C  0.383  0.635  0.717
C  0.617  0.365  0.283
C  0.880  0.243  0.104
C  0.117  0.635  0.217
C  0.620  0.243  0.604
C  0.380  0.757  0.396
C  0.120  0.757  0.896
Se  0.785  0.131  0.735
Se  0.715  0.131  0.235
Se  0.215  0.869  0.265
Se  0.285  0.869  0.765
Cl  0.632  0.775  0.033
Cl  0.868  0.775  0.533
Cl  0.368  0.225  0.967
Cl  0.132  0.225  0.467

Output
Its energy of formation from the pure elements is -0.25 eV/atom. The calculation puts the final energy at -201.64 eV/cell.

Record 2
This record from Materials Project describes crystalline Zr2InAu2 at its relaxed geometry. The functional is PBE.

Cell lengths 7.647, 7.647, 3.608 Å; angles 90.00, 90.00, 90.00 degrees
Atoms (fractional coordinates):
Zr  0.170  0.330  0.000
Zr  0.670  0.170  0.000
Zr  0.830  0.670  0.000
Zr  0.330  0.830  0.000
Au  0.871  0.371  0.500
Au  0.371  0.129  0.500
Au  0.129  0.629  0.500
Au  0.629  0.871  0.500
In  0.000  0.000  0.500
In  0.500  0.500  0.500

Output
Its energy of formation from the pure elements is -0.47 eV/atom. The calculation puts the final energy at -57.47 eV/cell. The value obtained for the energy above the lowest structure with this stoichiometry is 21 kJ/mol of formula units.

Record 3
This record from Materials Project describes crystalline DyGe3 at its relaxed geometry. The functional is PBE.

Cell lengths 3.925, 4.031, 10.640 Å; angles 79.08, 90.00, 90.00 degrees
Atoms (fractional coordinates):
Ge  0.750  0.691  0.618
Ge  0.250  0.960  0.079
Ge  0.250  0.309  0.382
Ge  0.750  0.811  0.379
Ge  0.750  0.040  0.921
Ge  0.250  0.189  0.621
Dy  0.750  0.418  0.164
Dy  0.250  0.582  0.836

Output
Its energy of formation from the pure elements is -0.46 eV/atom. The calculation puts the final energy at -40.61 eV/cell.

Record 4
This record from Materials Project describes crystalline Rb2Nb2P2S11 at its relaxed geometry. The functional is PBE.

Cell lengths 7.148, 7.135, 18.884 Å; angles 81.41, 90.00, 90.00 degrees
Atoms (fractional coordinates):
S  0.750  0.546  0.324
S  0.016  0.062  0.667
S  0.516  0.938  0.333
S  0.250  0.936  0.187
S  0.978  0.520  0.142

A few years ago, this Hopkins nurse autonomy got into people’s blood—literally—when Marian Grant was working at Johns Hopkins Hospital as a new ER nurse. “When we were drawing blood, sometimes the way we were doing it was causing hemolysis, where the blood cells get broken up,” Grant recalls. “That skews the results and the lab says, ‘I can’t use this sample.’ And that drove me crazy. So we did research, and we figured out that some ways were better than others for drawing blood.” Grant’s research was published in 2003 in the Journal of Emergency Nursing. “Coming out of Hopkins, only a year out of my undergrad program, I felt, ‘Well, here is a problem and let’s do research to resolve it.’”
George Dover has worked with Hopkins nurses since the day he started his internship at Johns Hopkins three decades ago. Today Director of the Department of Pediatrics at the School of Medicine, and Pediatrician-in-Chief of the Hopkins Children’s Center, Dover says he has been continually impressed by the autonomy they’ve shown..
“There are programs where Hopkins nurses have gone out in the East Baltimore community and started their own clinics,” he says. “We have one near our Perkins Daycare Center called the Lillian Wald [Center] that has been staffed by Hopkins nurses for years.”
He continues, “I travel to a lot of different places, and I think the nurses here have a much stronger clinical role than they do elsewhere. At least in pediatrics, basically what’s happened over the last 30 years is the patients whom we admit have become sicker, and we have more therapeutic options for them. And because of this, I think we depend on nurses more today than we used to, as clinicians, and I think that they have adapted in an incredible variety of ways to the types of therapeutic care.”
This focus on clinical care is what’s most important to Mari Moriarty, from the Visiting Nurse Service of New York, when she recruits BSN graduates from across the country who are interested in providing care for patients in their homes. “If I could fill the whole program up with Johns Hopkins applicants,” she says, “I’d be very happy.” Moriarty finds Hopkins recruits different because “many of the students have had experience in AmeriCorps, or the Peace Corps, or Teach For America, and the curriculum at Johns Hopkins is rich in community health experience.” Moriarty now has four Hopkins nursing grads working in her BSN Internship program, and says she’s gotten “tremendously positive” feedback from their supervisors. “Anyone who comes into contact with them only has great things to say. They’re trained very well in clinical skills, but also have the confidence to go into the community and look at the patient as a whole—the patient interacting at home, with or without help from the family … All of the staff feel they bring a real enthusiasm for public health nursing, which a lot of other curriculums lack.” While other nursing schools focus mainly on clinical training inside the hospital, says Moriarty, Hopkins equips nurses to “develop opportunities for themselves anywhere,” she says. “It doesn’t have to be in a hospital setting.”
“And intellectually,” Moriarty adds, “[the Hopkins nurses] like to be challenged…they’re not content to just report to work and have the same routine day in day out. They don’t look at nursing as just skills, but what it should be: a really complex job.”
A Hopkins Nurse Has Unlimited Opportunities for Growth
Nursing, in all of its manifestations, is arguably one of the most challenging professions out there. But as alumni will attest, Hopkins nurses are often offered leadership opportunities that extend beyond the clinical walls.
Take Nancy McKelvey, who graduated from the Hopkins nursing diploma program in 1964. Today, as Chief Nurse and Lead for Healthcare Partnerships at the American Red Cross, she guides the involvement of some 30,000 paid and volunteer nurses across the United States.
“For about the past eight or nine years,” she says, “I’ve had Hopkins students mostly from the graduate programs, and some undergrad alumni as well, who have come to the Red Cross and worked with me on their clinical. And I’m very impressed with their widespread backgrounds, their interesting and varied perspectives. They stimulate me with their questions, and they question the status quo.”
In her own experience as a Hopkins-prepared nurse, McKelvey has found that “people are always impressed by the fact that you have gone there.” She adds, “When I went on for my baccalaureate degree, I myself saw that [the Hopkins] diploma program was different from many other programs, in that we had a much broader background. We had university English and other college courses, and that was very unusual for diploma programs.”
“I think there was a standard, an expectation, that you would be something special, you know? It was more than just doing your best.” (Read more about Nancy McKelvey on p. 52.)
Or take Linda Tarr-Whelan, who was Deputy Assistant to President Jimmy Carter, U.S. Ambassador to the UN Commission on the Status of Women under Bill Clinton, and now runs her own lobbying firm. Like McKelvey, Tarr-Whelan got her start in the Hopkins nursing diploma program. She chose Hopkins because “it was absolutely the best in the country. For those of us who came directly out of high school, this was the best education for nursing around.” And her high expectations were fulfilled. She particularly recalls how inspiring her teachers were. “My instructors were phenomenal,” she says. “They were great role models, strong women, they saw nursing as a partner profession to medicine, not like we were handmaidens to doctors, which at the time was how most people thought.”
“We were from the very beginning at Hopkins, as students there, very proud to be a Hopkins nurse. … and I certainly went to work for people who thought that way.” Recalls Tarr-Whelan, “After graduating from Hopkins, I went to work for a doctor in Illinois. He had hired me sight unseen because he said, ‘Well, if she’s a Hopkins nurse, then I want her in my office.’”
A Hopkins Nurse Goes the Extra Mile for Patients
When reminiscing about her time at the Hopkins School of Nursing, Tarr-Whelan’s most vivid memories were of her patients. “One of my most memorable patients was a little three-year-old boy right from East Baltimore. He had been terribly burned when a gas heater in the house had fallen over on him. And he was so brave. He did end up leaving the hospital, and in those days, most burn patients didn’t make it. He always tried to smile, and always made us smile.”
Tarr-Whelan’s dedication to her patients is not unique. Karen Haller says it’s a quality that’s constant in all Hopkins nurses. She recalls a recent incident with a patient named Jesse, who telephoned a nurse to tell her that he would always remember her because she had saved his legs.
“His voicemail got pushed to my desk,” Haller says. “This is a patient who was paraplegic from a bullet wound, a young guy, who was going to lose his legs. Two other institutions had told him they couldn’t save his legs. But this nurse worked with him, and with a podiatrist here, and they successfully prevented the amputations. This is a case where the patient isn’t one of our major donors, isn’t wealthier than the others—this nurse just went the extra mile. She saw possibilities that physicians didn’t see. She believed he would follow through on the plan, and he did. She’s a good example of the extra mile the Hopkins nurse goes.”
Attached: crystal structures >
+++
No. 1
## Mo2O7 (PBE with a Hubbard U)

Data for a geometry-optimized Mo2O7 structure.

abc: 7.4511 3.7460 9.9084
angles: 90.00 102.66 90.00
Closest atoms and distances in Å follow each position.
Element x y z (fractional)
Mo 0.1524 0.2500 0.4199  2 O 1.72-1.75
Mo 0.1926 0.7500 0.9854  2 O 1.72
Mo 0.8074 0.2500 0.0146  2 O 1.72
Mo 0.8476 0.7500 0.5801  2 O 1.72-1.75
O 0.0136 0.2500 0.2528  1 Mo 1.75
O 0.1007 0.2500 0.9673  2 Mo 1.99
O 0.1110 0.7500 0.4742  2 Mo 1.99
O 0.2831 0.2500 0.6450  1 Mo 2.23
O 0.3107 0.7500 0.1549  1 Mo 1.72
O 0.3650 0.7500 0.8945  1 Mo 1.72
O 0.3744 0.2500 0.3975  1 Mo 1.72
O 0.6256 0.7500 0.6025  1 Mo 1.72
O 0.6350 0.2500 0.1055  1 Mo 1.72
O 0.6893 0.2500 0.8451  1 Mo 1.72
O 0.7169 0.7500 0.3550  1 Mo 2.23
O 0.8890 0.2500 0.5258  2 Mo 1.99
O 0.8993 0.7500 0.0327  2 Mo 1.99
O 0.9864 0.7500 0.7472  1 Mo 1.75

Values from the calculation:
MP2020-corrected energy in Ry/atom: -0.56081
Total DFT energy (no corrections) in eV per atom: -6.384
Space group: P2_1/m
Formation energy from the elements in kcal/mol of atoms: -31.6

No. 2
## Mo3O8 (PBE with a Hubbard U)

Data for a geometry-optimized Mo3O8 structure.

abc: 6.1464 6.1464 9.8756
angles: 90.00 90.00 120.00
Closest atoms and distances in Å follow each position.
Element x y z (fractional)
Mo 0.1684 0.3368 0.0000  6 O 1.95-2.10
Mo 0.1684 0.8316 0.0000  6 O 1.95-2.10
Mo 0.3368 0.1684 0.5000  6 O 1.95-2.10
Mo 0.6632 0.8316 0.0000  6 O 1.95-2.10
Mo 0.8316 0.1684 0.5000  6 O 1.95-2.10
Mo 0.8316 0.6632 0.5000  6 O 1.95-2.10
O 0.0000 0.0000 0.1103  3 Mo 2.10
O 0.0000 0.0000 0.6103  3 Mo 2.10
O 0.0403 0.5201 0.1047  2 Mo 1.96
O 0.1494 0.2988 0.4036  2 Mo 1.95
O 0.1494 0.8506 0.4036  2 Mo 1.95
O 0.2988 0.1494 0.9036  2 Mo 1.95
O 0.3333 0.6667 0.8867  3 Mo 2.08
O 0.4799 0.5201 0.1047  2 Mo 1.96
O 0.4799 0.9597 0.1047  2 Mo 1.96
O 0.5201 0.0403 0.6047  2 Mo 1.96
O 0.5201 0.4799 0.6047  2 Mo 1.96
O 0.6667 0.3333 0.3867  3 Mo 2.08
O 0.7012 0.8506 0.4036  2 Mo 1.95
O 0.8506 0.1494 0.9036  2 Mo 1.95
O 0.8506 0.7012 0.9036  2 Mo 1.95
O 0.9597 0.4799 0.6047  2 Mo 1.96

Values from the calculation:
E above lowest polymorph in meV per atom: 71
MP2020-corrected energy in Ry/atom: -0.60145
Total DFT energy (no corrections) in eV per atom: -6.810
Space group: P6_3mc
Formation energy from the elements in kcal/mol of atoms: -37.5

No. 3
## MoO5 (PBE with a Hubbard U)

Data for a geometry-optimized MoO5 structure.

abc: 3.9771 6.1346 7.5617
angles: 90.00 90.10 90.00
Closest atoms and distances in Å follow each position.
Element x y z (fractional)
Mo 0.0940 0.0000 0.2487  5 O 1.76-1.94
Mo 0.9060 0.0000 0.7513  5 O 1.76-1.94
O 0.0000 0.0000 0.0000  2 Mo 1.92
O 0.0000 0.0000 0.5000  2 Mo 1.94
O 0.0253 0.3066 0.2571  1 Mo 1.90
O 0.0253 0.6934 0.2571  1 Mo 1.90
O 0.4636 0.0000 0.7515  1 Mo 1.76
O 0.5000 0.5000 0.0000  8 O 2.96-3.09
O 0.5000 0.5000 0.5000  8 O 2.89-3.03
O 0.5364 0.0000 0.2485  1 Mo 1.76
O 0.9747 0.3066 0.7429  1 Mo 1.90
O 0.9747 0.6934 0.7429  1 Mo 1.90

Values from the calculation:
+++
A Hopkins Nurse Has a Passion for Learning and for Sharing Knowledge
“The name Hopkins to me, first of all, says excellence in scholarship,” says R. Kevin Mallinson, an assistant professor of nursing at Georgetown University, who earned his MSN at Hopkins in 1997 and went on for his PhD in 2001. “I got an excellent education there. [Hopkins] has great scholarship and great resources, excellent libraries, and a tremendous hospital medical system that [puts] your study at a completely different level than a lot of other schools. The success of its graduates is a way of looking at that. I just got a $1.5 million grant [last] summer to do HIV nursing in three African countries. I don’t think I would have gotten that if I hadn’t been so well educated in scholarly work.”

Mallinson started his career as a firefighter in Florida. “And after almost five years of firefighting, I decided I actually liked people more than I liked buildings so I went back to school and became a nurse.” At that time, the AIDS epidemic was just starting to receive national attention, and after getting his baccalaureate degree in nursing from the University of Miami, Mallinson decided to focus his work in AIDS units, first in California, and then at Johns Hopkins. “And that’s when I first got interested in pursuing an advanced degree, because of a couple of professors in the School of Nursing who were doing research studies. I had never heard of a nurse researcher before and I thought, ‘Wow, isn’t that a fascinating idea.’” Mallinson chose the Hopkins master’s program because it offered a specialty in HIV/AIDS.
“When I was doing my master’s I was in a course on the pathophysiology of AIDS that was taught by Lynn Baxendale-Cox. She has since passed away, but she was wonderful. Here I was taking a course from somebody who had her PhD, which was very impressive to me. She was an expert in pathophysiology, but she was not an expert in clinical care of people with AIDS. She knew the cellular problems, but she didn’t know the patient in front of you. I did, because I was working in the AIDS unit. And one of my favorite things about her, she was able to say, ‘Kevin, what does that look like when a patient has pneumocystis carinii pneumonia?’ That was her ability to say that she didn’t know everything, and I felt like a colleague in working with her. I think that at Hopkins there was a collegial respect for people who had a different knowledge base.”
Mallinson also remembers a mutual respect among students. “We weren’t in competition with each other. I wasn’t trying to beat out the other PhD students to win. I know that at a lot of other schools they pit one student against another. When I got surveys together for my dissertation, three of my colleagues helped me put the mail packets together, put the postage on, get them down to the post office; they certainly didn’t have to do that. And when I defended my dissertation, there were about 80 people in the room listening. I have since been at other schools where no one else is in the room except the committee. Defending your PhD should be a really important event. At Hopkins I was so pleased that they would open it up.”
Michael Relf, who also earned his PhD at the Johns Hopkins University School of Nursing, is now one of Mallinson’s colleagues at Georgetown. He is Chair of the Department of Nursing. Relf, who also specializes in AIDS research, chose Hopkins because of its reputation for scholarly excellence, but remembers it for the camaraderie he felt with his fellow classmates. “When I was going to start my doctoral program in 1994,” he says, “there were really only about three programs in the country that had a reputation of excellence and faculty doing HIV-related research. And I wanted a PhD that was really a research doctorate—one that would prepare me to do specialty research. I chose Hopkins because the School of Nursing also has a profound set of other resources—the School of Public Health, and the School of Medicine—that were critical to my doctoral research.”
“All of the doctoral students at that time were in an advanced statistics course called Multivariate Methods. And all of us were treading water to understand the material. So we had study group every Saturday or Sunday for three or four hours, and what I remember most is really the team spirit, that everybody came together. There were 13 of us in the class, and all 13 did this study group. Thirteen brains working together to figure out what we were expected to learn. We all walked away better because we were thinking out loud, together, about very complex material. As doctoral students, we were there to challenge one another, but also to support and encourage one another.”
A Hopkins Nurse Has a Passion for Excellence
What does it mean to be a Hopkins nurse? “Well just the name brings instant recognition as being number one,” says JoAnn Coleman, who earned her post-master’s CRNP at Hopkins in 1995, and is now an acute care nurse practitioner for surgical oncology at Johns Hopkins Hospital. “If you go to different venues or meetings, and are asked where you’re from and you say Hopkins, it’s like, ‘Oh you’re from Hopkins.’”
“One time I was in Pittsburgh, PA visiting [Tom] Starzl, the [surgeon] who performed the first human liver transplant when Hopkins Hospital was first instituting a liver transplant program. When he and his team learned we were from Johns Hopkins Hospital, they said, ‘Oh! Do you work in surgery? Do you know Dr. Cameron? Oh well, then you must know the Cameron procedures.’ Which, of course, we don’t call them that, but that’s what they’re known as in Pittsburgh. That hit me. As a Hopkins nurse, you get recognized, and not only by people you work with, but outside the hospital as well.”
“When people hear you’re from Hopkins, I think they assume that you know what you’re talking about. And that you’ve had this great training. It’s true; if you don’t know where to go or who to ask, you have this incredible resource of people. I don’t need to go to the library or look things up—our surgeons write the papers.”
Elaine Neely Schelle, who graduated from the Hopkins diploma program in 1959 and has worked in Baltimore schools, clinics, and hospitals ever since, has had a similar experience. “The medical community, the guys that I worked with, they quickly got a good feeling for the fact that I and others, my peers, had a very good scientific foundation. We had a very special obligation for performance, and we all really took that to heart. And there was an expectation that you would do your very best at all times. These lessons that I learned at Hopkins have sustained me as a mother, a wife, and a professional.”
“But you know,” says Schelle carefully, “that reputation—it’s a fine line to walk. They say you can always tell a Hopkins nurse, but you can’t tell them much!”
Virginia Hughes, who earned her master’s degree in 2006 from the Johns Hopkins University Writing Seminars, is a science writer living in New York City.